Given >
- - -
No. 1
A plane-wave DFT calculation with PBE with a Hubbard U was carried out for crystalline MgNi4O8 at its relaxed geometry.

Cell and atoms, written as CIF:
```
data_MgNi4O8
_chemical_formula_sum 'Mg1 Ni4 O8'
_cell_length_a 6.867
_cell_length_b 6.867
_cell_length_c 9.125
_cell_angle_alpha 130.08
_cell_angle_beta 130.08
_cell_angle_gamma 24.43
_space_group_name_H-M_alt 'P 1'
_space_group_IT_number 1
_space_group_name_Hall 'P 1'
loop_
_atom_site_label
_atom_site_fract_x
_atom_site_fract_y
_atom_site_fract_z
_atom_site_occupancy
Mg1 0.000 0.000 0.000 1
Ni1 0.000 0.000 0.313 1
Ni2 0.203 0.203 0.021 1
Ni3 0.513 0.513 0.660 1
Ni4 0.714 0.714 0.377 1
O1 0.135 0.135 0.757 1
O2 0.192 0.192 0.491 1
O3 0.211 0.211 0.242 1
O4 0.489 0.489 0.436 1
O5 0.518 0.518 0.174 1
O6 0.556 0.556 0.908 1
O7 0.819 0.819 0.096 1
O8 0.898 0.898 0.588 1
```

Summary:
The calculation puts the energy of formation at -1047 meV per atom. As for the total energy: -62.25 eV per cell. The calculation puts the energy above the most stable polymorph in this dataset at 13.5 kJ/mol of atoms. The total magnetization is 2.005 μB/f.u.


No. 2
A plane-wave DFT calculation with PBE with a Hubbard U was carried out for crystalline LiMnS2O8 at its relaxed geometry.

Cell and atoms, written as CIF:
```
data_LiMnS2O8
_chemical_formula_sum 'Li8 Mn8 S16 O64'
_cell_length_a 9.329
_cell_length_b 9.050
_cell_length_c 13.707
_cell_angle_alpha 90.00
_cell_angle_beta 90.41
_cell_angle_gamma 90.00
_space_group_name_H-M_alt 'P 1'
_space_group_IT_number 1
_space_group_name_Hall 'P 1'
loop_
_atom_site_label
_atom_site_fract_x
_atom_site_fract_y
_atom_site_fract_z
_atom_site_occupancy
Li1 0.000 0.025 0.000 1
Li2 0.000 0.975 0.500 1
Li3 0.190 0.299 0.998 1
Li4 0.190 0.701 0.498 1
Li5 0.512 0.037 0.750 1
Li6 0.512 0.963 0.250 1
Li7 0.910 0.460 0.248 1
Li8 0.910 0.540 0.748 1
Mn1 0.099 0.145 0.751 1
Mn2 0.099 0.855 0.251 1
Mn3 0.324 0.356 0.254 1
Mn4 0.324 0.644 0.754 1
Mn5 0.599 0.143 0.999 1
Mn6 0.599 0.857 0.499 1
Mn7 0.819 0.355 0.499 1
Mn8 0.819 0.645 0.999 1
S1 0.035 0.187 0.351 1
S2 0.035 0.813 0.851 1
S3 0.124 0.437 0.616 1
S4 0.124 0.563 0.116 1
S5 0.295 0.061 0.115 1
S6 0.295 0.939 0.615 1
S7 0.390 0.316 0.851 1
S8 0.390 0.684 0.351 1
S9 0.534 0.185 0.402 1
S10 0.534 0.815 0.902 1
S11 0.622 0.436 0.132 1
S12 0.622 0.564 0.632 1
S13 0.796 0.063 0.635 1
S14 0.796 0.937 0.135 1
S15 0.888 0.315 0.898 1
S16 0.888 0.685 0.398 1
O1 0.035 0.019 0.350 1
O2 0.035 0.981 0.850 1
O3 0.155 0.473 0.209 1
O4 0.155 0.527 0.709 1
O5 0.163 0.281 0.638 1
O6 0.163 0.719 0.138 1
O7 0.184 0.240 0.348 1
O8 0.184 0.760 0.848 1
O9 0.198 0.492 0.532 1
O10 0.198 0.508 0.032 1
O11 0.212 0.014 0.030 1
O12 0.212 0.986 0.530 1
O13 0.238 0.262 0.853 1
O14 0.238 0.738 0.353 1
O15 0.258 0.220 0.135 1
O16 0.258 0.780 0.635 1
O17 0.263 0.026 0.708 1
O18 0.263 0.974 0.208 1
O19 0.391 0.480 0.847 1
O20 0.391 0.520 0.347 1
O21 0.443 0.242 0.477 1
O22 0.443 0.758 0.977 1
O23 0.444 0.279 0.954 1
O24 0.444 0.721 0.454 1
O25 0.452 0.043 0.105 1
O26 0.452 0.957 0.605 1
O27 0.467 0.451 0.148 1
O28 0.467 0.549 0.648 1
O29 0.475 0.247 0.776 1
O30 0.475 0.753 0.276 1
O31 0.476 0.215 0.298 1
O32 0.476 0.785 0.798 1
O33 0.539 0.014 0.400 1
O34 0.539 0.986 0.900 1
O35 0.654 0.473 0.542 1
O36 0.654 0.527 0.042 1
O37 0.659 0.278 0.107 1
O38 0.659 0.722 0.607 1
O39 0.683 0.239 0.403 1
O40 0.683 0.761 0.903 1
O41 0.708 0.480 0.216 1
O42 0.708 0.520 0.716 1
O43 0.716 0.012 0.718 1
O44 0.716 0.988 0.218 1
O45 0.742 0.258 0.902 1
O46 0.742 0.742 0.402 1
O47 0.759 0.219 0.613 1
O48 0.759 0.781 0.113 1
O49 0.767 0.026 0.042 1
O50 0.767 0.974 0.542 1
O51 0.889 0.481 0.901 1
O52 0.889 0.519 0.401 1
O53 0.944 0.249 0.275 1
O54 0.944 0.751 0.775 1
O55 0.947 0.282 0.796 1
O56 0.947 0.718 0.296 1
O57 0.954 0.045 0.646 1
O58 0.954 0.955 0.146 1
O59 0.964 0.452 0.607 1
O60 0.964 0.548 0.107 1
O61 0.976 0.218 0.453 1
O62 0.976 0.782 0.953 1
O63 0.982 0.251 0.973 1
O64 0.982 0.749 0.473 1
```

Summary:
- - -
To do >
Echo only the lines further up with the word "Li3" in them.
Result >
Li3 0.190 0.299 0.998 1